Honor to whom honor . . .


Last Saturday, my wife was one of several recent retirees from the University of West Georgia who were honored for their many years of service. There was a very nice luncheon at the country club in Carrollton, Ga., where the food was some of the best I have eaten at one of these affairs, and family members were invited to attend with the honoree.

The president of UWG gave a tremendous report on how well the university was doing — excellent, as it turns out, the best in the history of the institution — and, after some preliminaries and business, the men and women were honored, each with a medallion. As each person’s name was presented, he or she had the medallion draped on his or her neck, had a special photo taken, and was asked to say a few words.

There was also a special booklet listing the biographies and featuring the photos of each retiree. And here is what I liked the most about the event. The names were listed alphabetically and each honoree had their own page on which were listed their job titles, the number of years at the university, their responsibilities, educational history and so forth. The honorees were not listed according to the “importance” of their position.

My wife has four degrees including a Ph.D. and she was a retiring professor and associated dean. But you had to read her bio to find that out.

Whether one was a professor, dean, provost, in administration, management, human resources, information technology, custodial services, athletics, campus law enforcement, secretary, maintenance, or whatever — the clear impression was given that each person was a vital part of the UWG family and that each and every position was not to be valued over the other. Frankly, I loved it.

These calculated molecules were left in the text by mistake:
+++
1.
{
  "formula": "C3H4Br2O",
  "method": "ωB97M-V/def2-TZVPD",
  "homo_lumo_gap_ev": [9.5, 8.6],
  "energy_ev": -145302.6147,
  "de_lowest_kj_mol": 450.5,
  "species": ["C", "C", "C", "O", "Br", "Br", "H", "H", "H", "H"],
  "xyz": [[0.8138, 0.9568, 0.0883], [-0.3697, 0.1100, 0.1258], [-0.3532, -1.3833, -0.0496], [0.2700, 0.6306, 1.2809], [2.5665, 0.5819, -0.3905], [-2.0469, 0.9730, -0.2859], [0.1611, 3.4001, -0.5201], [-1.1671, -1.7033, -0.6949], [-0.4694, -1.8575, 0.9272], [0.5950, -1.7083, -0.4811]],
  "forces_ev_per_angstrom": [[-0.8, 0.5, -0.2], [-0.2, 0.1, -0.8], [-0.1, 0.0, 0.1], [0.4, 0.1, 0.8], [0.4, -0.1, 0.0], [0.1, -0.2, 0.1], [0.2, -0.4, 0.1], [0.1, 0.0, 0.0], [0.0, 0.0, -0.1], [0.0, 0.1, 0.0]]
}

***

2.
{
  "formula": "C39H37N6O3PtSSi",
  "method": "ωB97M-V/def2-TZVPD",
  "homo_lumo_gap_ev": [3.8, 4.7],
  "multiplicity": 3,
  "s2": 2.0246,
  "energy_ev": -78080.1578,
  "total_charge": 1,
  "species": ["Pt", "O", "C", "C", "C", "C", "N", "C", "C", "C", "C", "C", "C", "O", "C", "C", "N", "H", "H", "H", "H", "H", "H", "H", "H", "H", "H", "H", "H", "O", "Si", "C", "C", "C", "C", "C", "C", "C", "C", "C", "C", "C", "C", "C", "C", "C", "C", "C", "C", "H", "H", "H", "H", "H", "H", "H", "H", "H", "H", "H", "H", "H", "H", "H", "N", "C", "C", "C", "C", "N", "C", "C", "H", "H", "H", "H", "S", "C", "N", "C", "C", "N", "H", "H", "H", "H", "H", "H"],
+++

Everyone was treated as an equal, each received the same medallion, each had an opportunity to speak, and no one’s title was on their name tag. Each and every tag had the person’s name accompanied by a ribbon that said, “Honoree.” And every retiree was proud of their service as an employee of the University of West Georgia. It’s just that not everyone had the same responsibilities — but that all were valued and respected.

I have thought for years that church should be like that too. Who is the most important person in the church? According to the New Testament, each individual is a vital part of the “Body of Christ” with Christ being the head of the Body. It’s not “Brother John’s Church,” or “Father James’ Church,” or “Bishop Harold’s church.” Everyone, and I mean everyone, is a vital and important part of the Church.

The musicians, the singers, the greeters, the custodians, the nursery workers, the sound and video techs, the teachers, those who are able to give a lot, those who are able to give very little, the mature, the immature, the elderly, the children, the Baby Boomers, the X Gens, the Millennials, the men, the women, the youth, those with a formal position, those without, a formal position — all are vital and valued, Even the clergy are a part of this thing we call “Church.”

Inserted here: quantum chemistry results >
┌──
No. 1
{"formula": "C5H13NO", "method": "ωB97M-V/def2-TZVPD", "relative_energy_kcal_mol": 74.6, "smiles": "CC/C(C)=C/N.O", "homo_ev": -7.569, "homo_lumo_gap_ev": 8.263, "e_lumo_ev": 0.69, "multiplicity": 1, "symbols": ["C", "C", "C", "C", "C", "N", "H", "H", "H", "H", "H", "H", "H", "H", "H", "H", "H", "O", "H", "H"], "coordinates": [[1.01145, -2.17623, 2.23115], [0.19635, -1.85949, 1.04110], [-0.22685, -0.42477, 0.62530], [-0.46904, -0.28152, -0.89910], [-0.38419, 0.48376, 1.60512], [-0.27359, 1.84782, 1.37781], [1.18562, -3.38520, 2.27473], [1.89472, -1.47066, 2.06130], [0.58517, -1.84441, 3.22383], [0.73576, -1.96714, 0.15446], [-0.65649, -2.55762, 1.06891], [-0.83912, -1.25136, -1.09084], [0.46790, -0.00435, -1.41983], [-1.28152, 0.51470, -1.09260], [-0.71972, 0.15686, 2.53864], [0.32249, 2.10554, 0.60628], [0.11363, 2.35668, 2.33027], [-0.05570, 2.12488, -4.81696], [0.21722, 1.28200, -5.27031], [-0.43121, 1.68068, -4.11525]], "atomic_forces_ev_per_a": [[1.6, -0.2, 1.3], [-3.3, 0.5, -0.5], [-0.5, -0.4, 1.5], [0.2, 2.7, 1.9], [0.8, -0.1, -2.9], [0.5, 2.6, 3.9], [0.1, 3.2, -0.1], [-0.2, -1.6, 0.8], [0.2, -0.5, -1.1], [1.3, -1.7, -1.3], [-0.1, 0.2, -0.7], [-0.3, -1.0, -1.2], [-0.6, -0.4, -0.2], [1.3, -1.2, 0.2], [0.3, -0.3, 1.7], [0.1, -0.1, 0.0], [-1.4, -1.6, -3.5], [1.7, -0.8, -2.9], [0.1, 1.5, -0.2], [-1.7, -0.7, 3.2]], "nbo_charge": [-0.609, -0.434, -0.071, -0.658, -0.025, -0.821, 0.218, 0.210, 0.204, 0.203, 0.189, 0.221, 0.210, 0.221, 0.192, 0.375, 0.374, -0.913, 0.459, 0.455]}



No. 2
└──

Too often, we see distinctions being made among people, even in the church. I saw a website recently in which some ministers were being touted and lavishly praised as “apostles,” or “prophets,” or “bishops”, or “anointed teachers and global leaders” as though such people somehow were greater than, say, the lady who empties the wastebasket or the man who quietly takes communion to the hospital.

It was Jesus, after all, who said that “the last shall be first” and that it was “the meek” who would “inherit the earth.”

On the one hand, it was wonderful to see what happened at the UWG luncheon and, on the other hand, it was humbling to see it happen, and done so well, at a “secular university” when it so seldom happens in a “divine institution,” the Church.

Perhaps we can learn a lesson in humility. But more importantly, perhaps we can learn a lesson in how to value others, to respect all, to understand that all are vital and important, even though their tasks may be dissimilar.

Perhaps the Church can learn from this university to “give honor to whom honor is due.” Which includes all, whomever they may be and whatever they may do.

[David Epps is the pastor of the Cathedral of Christ the King, Sharpsburg, GA (www.ctkcec.org)., 4881 Hwy. 34 East, Sharpsburg, GA. Sunday services are at 10:00 a.m. He is the bishop of the Mid-South Diocese which consists of Georgia and Tennessee (www.midsouthdiocese.org). He may contacted at [email protected].]